Input:
No. 1
The following is a DFT calculation (ωB97M-V with the def2-TZVPD basis set) of a molecular structure, C30H18Cl5N5O6Sc.

Last column: natural (NBO) charge in e.
Atoms and positions in Å:
C -0.90042 2.82075 -3.74731  -0.114
H -2.35870 3.53408 3.41278  0.234
Cl -1.48460 -5.85670 1.01404  0.081
C -3.69897 -2.60730 0.31500  -0.131
C -2.20039 2.46634 3.41110  -0.224
N -0.97520 0.56619 2.58561  -0.529
O -1.30698 5.39649 -4.42133  -0.362
C -0.17139 2.72726 1.96388  0.209
C -3.30318 -3.93126 0.50268  -0.080
C 1.56298 2.64815 0.42741  0.282
H -0.36173 -1.89503 3.08598  0.238
C -1.02277 -3.19600 0.76251  0.048
C -1.31453 -1.66935 3.55688  -0.659
C 1.93304 -1.75046 -1.55875  -0.654
C -1.18280 1.90269 2.67260  0.171
H 3.68981 3.24797 -1.19549  0.232
H 4.83681 1.67005 -2.72432  0.241
H -3.28184 -0.39844 4.81436  0.239
H -0.05948 -0.43284 -4.26252  0.263
Cl -3.17321 0.06550 0.15059  0.060
O -0.84284 5.03971 -6.49500  -0.343
O -0.60244 -0.24605 -1.82181  -0.738
C -0.73241 3.26010 -5.04508  0.016
N 0.38084 0.18791 -6.80702  0.532
C 3.99278 1.34313 -2.13258  -0.116
C 1.86260 3.98558 0.64284  -0.227
C -0.08713 1.10826 -5.74574  0.000
Cl -4.47314 -5.18261 0.46923  0.089
H -0.53191 4.60953 2.94677  0.238
C -0.78276 0.98905 -2.07396  0.795
C -1.36277 -1.86882 0.55034  -0.601
C -1.95596 -4.23098 0.73676  -0.131
H 2.67407 4.47102 0.12431  0.234
H 2.75740 -2.45323 -1.67160  0.245
C -0.65496 1.48165 -3.46789  -0.189
C -0.24791 0.61008 -4.46869  -0.070
C 0.05809 4.07089 2.22130  -0.210
C 3.54247 0.04452 -2.20906  -0.230
H 1.28122 -1.84279 -2.42730  0.258
C 3.35219 2.22688 -1.27599  -0.222
C -3.01678 1.62399 4.15648  -0.114
O 0.67546 -0.93601 -6.46469  -0.364
H 1.30168 5.74337 1.72989  0.242
C -2.70849 -1.63455 0.34546  0.050
C -1.68348 -0.22888 3.40246  0.298
C 1.09033 4.69897 1.54570  -0.119
H -1.23555 -1.89075 4.62217  0.244
C 2.44716 -0.35437 -1.44488  0.292
N 0.57031 2.05383 1.08718  -0.527
H -1.21160 3.50522 -2.97208  0.274
H -3.83799 2.02431 4.73497  0.240
Cl -5.34376 -2.20076 0.06186  0.079
Cl 0.61970 -3.58203 1.20444  0.020
N -0.97708 4.68877 -5.34709  0.533
H 1.36226 -2.04802 -0.68195  0.231
O 0.44634 0.62736 -7.92978  -0.341
C -2.72284 0.28042 4.18536  -0.230
Sc -0.34861 0.13109 0.24817  1.767
H -2.07898 -2.32645 3.14178  0.243
C -0.32789 2.42876 -6.07304  -0.135
C 2.28505 1.77171 -0.52697  0.160
O -0.98163 1.78338 -1.11481  -0.713
H -0.19925 2.79469 -7.08073  0.294
H 4.01992 -0.67776 -2.85606  0.242
N 1.83224 0.50167 -0.61307  -0.540

Forces on the atoms, in the same order (eV/Å):
0.04 -0.03 -0.05
0.00 0.01 0.00
0.01 0.00 -0.01
0.08 -0.01 0.02
0.01 -0.05 0.00
-0.12 0.02 0.16
0.02 0.09 0.10
-0.03 -0.01 -0.01
0.01 -0.02 0.01
0.00 0.08 0.02
-0.04 0.02 0.02
-0.06 -0.03 0.04
0.07 -0.03 -0.01
-0.04 -0.07 0.05
0.05 0.03 -0.07
0.01 0.01 0.00
0.01 0.01 -0.01
-0.01 -0.01 0.01
0.00 0.00 0.01
0.12 -0.16 0.02
0.06 0.05 -0.09
-0.12 0.08 -0.20
0.04 0.02 0.00
-0.01 0.08 0.07
0.01 -0.02 0.00
-0.04 -0.04 0.00
0.00 -0.02 -0.04
0.01 0.01 -0.01
-0.01 0.00 0.01
0.09 -0.22 0.04
0.04 0.04 -0.03
-0.04 0.03 0.00
0.01 0.00 -0.01
0.01 0.01 -0.01
-0.12 0.07 0.04
-0.02 0.05 -0.02
0.01 -0.03 -0.02
-0.02 -0.01 0.00
0.00 0.00 -0.02
-0.05 -0.02 0.04
0.03 -0.01 -0.02
0.03 -0.13 0.02
0.00 0.01 0.00
0.00 0.02 -0.01
-0.06 0.03 0.01
0.00 -0.02 0.00
0.00 -0.01 0.01
0.02 0.06 0.04
-0.03 -0.15 0.05
0.00 0.00 0.00
-0.01 0.00 0.01
-0.02 0.01 0.00
0.04 0.03 -0.04
-0.14 -0.12 -0.01
-0.01 0.01 -0.02
0.00 0.04 -0.11
0.00 0.02 -0.03
0.03 0.47 -0.05
-0.02 0.00 0.01
0.00 -0.03 0.09
0.06 0.01 -0.02
0.15 -0.07 0.05
0.00 0.00 0.00
0.01 0.00 -0.01
-0.04 -0.09 -0.02

For the energy relative to the best compared isomer or geometry (same formula, charge and spin), the calculation gives 64.1 kJ/mol. As for the total charge: +1.

=====

No. 2
The following is a DFT calculation (ωB97M-V with the def2-TZVPD basis set) of a molecular structure, C30H18Cl5N8PdS.

Last column: natural (NBO) charge in e.
Atoms and positions in Å:
H -0.16202 2.47786 5.25283  0.400
C -0.40690 0.19488 3.90499  -0.239
Assignment:
Print the whole of the calculation results earlier on exactly.
Solution:
No. 1
The following is a DFT calculation (ωB97M-V with the def2-TZVPD basis set) of a molecular structure, C30H18Cl5N5O6Sc.

Last column: natural (NBO) charge in e.
Atoms and positions in Å:
C -0.90042 2.82075 -3.74731  -0.114
H -2.35870 3.53408 3.41278  0.234
Cl -1.48460 -5.85670 1.01404  0.081
C -3.69897 -2.60730 0.31500  -0.131
C -2.20039 2.46634 3.41110  -0.224
N -0.97520 0.56619 2.58561  -0.529
O -1.30698 5.39649 -4.42133  -0.362
C -0.17139 2.72726 1.96388  0.209
C -3.30318 -3.93126 0.50268  -0.080
C 1.56298 2.64815 0.42741  0.282
H -0.36173 -1.89503 3.08598  0.238
C -1.02277 -3.19600 0.76251  0.048
C -1.31453 -1.66935 3.55688  -0.659
C 1.93304 -1.75046 -1.55875  -0.654
C -1.18280 1.90269 2.67260  0.171
H 3.68981 3.24797 -1.19549  0.232
H 4.83681 1.67005 -2.72432  0.241
H -3.28184 -0.39844 4.81436  0.239
H -0.05948 -0.43284 -4.26252  0.263
Cl -3.17321 0.06550 0.15059  0.060
O -0.84284 5.03971 -6.49500  -0.343
O -0.60244 -0.24605 -1.82181  -0.738
C -0.73241 3.26010 -5.04508  0.016
N 0.38084 0.18791 -6.80702  0.532
C 3.99278 1.34313 -2.13258  -0.116
C 1.86260 3.98558 0.64284  -0.227
C -0.08713 1.10826 -5.74574  0.000
Cl -4.47314 -5.18261 0.46923  0.089
H -0.53191 4.60953 2.94677  0.238
C -0.78276 0.98905 -2.07396  0.795
C -1.36277 -1.86882 0.55034  -0.601
C -1.95596 -4.23098 0.73676  -0.131
H 2.67407 4.47102 0.12431  0.234
H 2.75740 -2.45323 -1.67160  0.245
C -0.65496 1.48165 -3.46789  -0.189
C -0.24791 0.61008 -4.46869  -0.070
C 0.05809 4.07089 2.22130  -0.210
C 3.54247 0.04452 -2.20906  -0.230
H 1.28122 -1.84279 -2.42730  0.258
C 3.35219 2.22688 -1.27599  -0.222
C -3.01678 1.62399 4.15648  -0.114
O 0.67546 -0.93601 -6.46469  -0.364
H 1.30168 5.74337 1.72989  0.242
C -2.70849 -1.63455 0.34546  0.050
C -1.68348 -0.22888 3.40246  0.298
C 1.09033 4.69897 1.54570  -0.119
H -1.23555 -1.89075 4.62217  0.244
C 2.44716 -0.35437 -1.44488  0.292
N 0.57031 2.05383 1.08718  -0.527
H -1.21160 3.50522 -2.97208  0.274
H -3.83799 2.02431 4.73497  0.240
Cl -5.34376 -2.20076 0.06186  0.079
Cl 0.61970 -3.58203 1.20444  0.020
N -0.97708 4.68877 -5.34709  0.533
H 1.36226 -2.04802 -0.68195  0.231
O 0.44634 0.62736 -7.92978  -0.341
C -2.72284 0.28042 4.18536  -0.230
Sc -0.34861 0.13109 0.24817  1.767
H -2.07898 -2.32645 3.14178  0.243
C -0.32789 2.42876 -6.07304  -0.135
C 2.28505 1.77171 -0.52697  0.160
O -0.98163 1.78338 -1.11481  -0.713
H -0.19925 2.79469 -7.08073  0.294
H 4.01992 -0.67776 -2.85606  0.242
N 1.83224 0.50167 -0.61307  -0.540

Forces on the atoms, in the same order (eV/Å):
0.04 -0.03 -0.05
0.00 0.01 0.00
0.01 0.00 -0.01
0.08 -0.01 0.02
0.01 -0.05 0.00
-0.12 0.02 0.16
0.02 0.09 0.10
-0.03 -0.01 -0.01
0.01 -0.02 0.01
0.00 0.08 0.02
-0.04 0.02 0.02
-0.06 -0.03 0.04
0.07 -0.03 -0.01
-0.04 -0.07 0.05
0.05 0.03 -0.07
0.01 0.01 0.00
0.01 0.01 -0.01
-0.01 -0.01 0.01
0.00 0.00 0.01
0.12 -0.16 0.02
0.06 0.05 -0.09
-0.12 0.08 -0.20
0.04 0.02 0.00
-0.01 0.08 0.07
0.01 -0.02 0.00
-0.04 -0.04 0.00
0.00 -0.02 -0.04
0.01 0.01 -0.01
-0.01 0.00 0.01
0.09 -0.22 0.04
0.04 0.04 -0.03
-0.04 0.03 0.00
0.01 0.00 -0.01
0.01 0.01 -0.01
-0.12 0.07 0.04
-0.02 0.05 -0.02
0.01 -0.03 -0.02
-0.02 -0.01 0.00
0.00 0.00 -0.02
-0.05 -0.02 0.04
0.03 -0.01 -0.02
0.03 -0.13 0.02
0.00 0.01 0.00
0.00 0.02 -0.01
-0.06 0.03 0.01
0.00 -0.02 0.00
0.00 -0.01 0.01
0.02 0.06 0.04
-0.03 -0.15 0.05
0.00 0.00 0.00
-0.01 0.00 0.01
-0.02 0.01 0.00
0.04 0.03 -0.04
-0.14 -0.12 -0.01
-0.01 0.01 -0.02
0.00 0.04 -0.11
0.00 0.02 -0.03
0.03 0.47 -0.05
-0.02 0.00 0.01
0.00 -0.03 0.09
0.06 0.01 -0.02
0.15 -0.07 0.05
0.00 0.00 0.00
0.01 0.00 -0.01
-0.04 -0.09 -0.02

For the energy relative to the best compared isomer or geometry (same formula, charge and spin), the calculation gives 64.1 kJ/mol. As for the total charge: +1.

=====

No. 2
The following is a DFT calculation (ωB97M-V with the def2-TZVPD basis set) of a molecular structure, C30H18Cl5N8PdS.

Last column: natural (NBO) charge in e.
Atoms and positions in Å:
H -0.16202 2.47786 5.25283  0.400
C -0.40690 0.19488 3.90499  -0.239